Activity >
Your job: duplicate only the lines below with the word "the" in them.
File >
ORCA calculation (the ωB97M-V functional and the def2-TZVPD basis) on a 13-piece molecular cluster, C5H38N3O12 overall.

Geometry (Å):
C -2.6818 0.6203 1.3877
C -1.8754 -0.7086 1.3623
C -0.4492 -0.4906 0.8460
C -0.3708 -0.2149 -0.6593
N -0.4932 -1.4520 -1.4365
C 0.3192 -1.8314 -2.4149
N 1.2527 -0.9847 -2.9697
N -1.9755 1.7050 2.1095
H -2.8363 0.9753 0.3401
H -3.6470 0.4003 1.7707
H -1.8220 -1.1136 2.4379
H -2.3444 -1.4575 0.7651
H 0.1743 -1.3495 1.1081
H 0.0115 0.4031 1.3978
H -1.2368 0.4817 -0.9260
H 0.5648 0.3217 -0.8848
H -1.3677 -1.9747 -1.2468
H 0.2087 -2.8169 -2.8508
H 1.9147 -1.3789 -3.5769
H 1.5245 -0.1115 -2.5472
H -1.2155 1.3556 2.6834
H -2.6193 2.1605 2.7883
H -3.8208 1.1715 -2.8615
H -2.2911 1.3255 -2.3294
O -3.1310 0.8100 -2.2378
H -4.0321 -2.0750 -1.4640
H -3.2054 -0.9402 -2.0031
O -3.1312 -1.8331 -1.7589
H 0.0191 -3.6580 0.8069
H 1.2091 -4.4772 1.3710
O 0.8657 -3.5948 1.2914
H 3.0216 0.1627 0.4332
H 4.1810 -0.3494 -0.3338
O 3.2720 -0.2305 -0.3660
H 0.6209 -2.6444 2.6808
H 0.7044 -2.7904 4.2601
O 0.3335 -2.2371 3.5463
H 2.2459 1.9344 1.3672
H 1.8419 0.8300 2.3764
O 2.5550 1.1186 1.7448
H 1.8429 2.2807 -1.1697
H 2.7014 1.1162 -1.4792
O 2.0369 1.6343 -1.8496
H -0.0182 1.8897 -2.4832
H -0.8719 3.0750 -2.9378
O -0.8995 2.3037 -2.3777
H -1.3799 2.9418 0.7763
H -1.1284 2.9336 -0.7127
O -0.9410 3.4092 0.0852
H 1.9883 4.0511 0.3504
H 0.5789 3.3480 0.3317
O 1.6133 3.1484 0.3019
H 1.7025 -2.9248 -0.1018
H 2.4832 -1.6934 -0.6707
O 1.9872 -2.5234 -0.9237
H 0.9406 0.6741 4.3626
H 0.5675 -0.5804 3.5424
O 0.6453 0.4168 3.4908

Forces on atoms 1 to 6 (eV/Å):
1.25 -0.24 -1.33
0.69 0.86 2.02
0.54 1.17 0.72
-0.76 1.02 0.06
0.19 -0.33 -0.87
0.84 2.60 0.39

Properties
net charge	+1
ΔE to the lowest compared entry with this formula, charge and spin	20.2	kcal per mole

=====

C21H31N5O3 | ωB97M-V/def2-TZVPD

Structure (XYZ):
```
60
Properties=species:S:1:pos:R:3:forces:R:3:mulliken_charge:R:1
C 3.398989 -6.168052 -1.667540 0.178 0.065 0.262 -1.220
C 4.066151 -5.742599 -0.348912 -0.279 0.284 -0.373 -0.831
C 3.733255 -4.297249 0.080694 0.008 -0.726 0.352 0.822
C 4.413301 -3.905981 1.396950 -0.071 0.168 0.033 -1.044
C 3.524646 -2.810871 1.990197 0.493 0.295 0.084 -1.145
C 2.072925 -3.197112 1.630907 0.341 0.258 -0.473 1.625
O 1.551740 -3.991153 2.688404 -0.277 0.307 -0.572 -0.688
C 1.213574 -1.898346 1.433992 -0.561 -0.227 1.101 0.074
O 0.547276 -1.463918 2.376077 0.330 -0.462 -0.309 -0.740
N 1.234540 -1.270228 0.246189 0.238 0.002 -0.696 0.011
C 0.490572 -0.049958 -0.071313 -0.127 0.370 0.257 -0.750
C -1.026197 -0.291079 -0.217275 -0.023 -0.037 -0.484 -1.105
N -1.788616 0.954402 -0.444421 0.071 -0.002 0.677 0.453
C -1.738645 1.552865 -1.669405 0.560 -0.583 -0.297 0.384
O -1.200141 1.014837 -2.640547 -0.293 0.379 0.716 -0.657
C -2.320927 2.934827 -1.847413 -0.401 0.745 -0.196 0.249
C -3.244840 3.163108 -2.884963 0.462 0.066 0.653 -0.641
C -3.760488 4.442209 -3.113416 0.550 0.821 0.820 -0.585
N -3.419814 5.548296 -2.401117 0.176 -0.750 -0.070 -0.660
C -2.510949 5.328337 -1.446992 -0.344 -0.688 -0.532 0.491
C -1.919581 4.079329 -1.121795 -0.514 -0.380 -0.579 0.512
N -1.008525 4.234227 -0.103755 0.203 0.406 0.363 -0.509
C -1.044347 5.512653 0.178847 -0.445 -0.125 -0.408 -0.249
N -1.941977 6.236324 -0.577042 0.349 -0.233 0.279 0.102
C -2.179822 7.669914 -0.519573 -0.166 -0.168 -0.305 -0.828
C -2.670166 1.388241 0.661616 -0.294 0.355 0.518 0.492
C -1.920520 1.574255 1.995015 0.113 -0.243 -0.189 -1.440
C -3.896421 0.470947 0.809382 0.221 -0.060 0.007 -1.423
C 2.227678 -4.063879 0.344686 -0.102 -0.054 -0.173 -1.819
H 3.689762 -7.183313 -1.939402 0.005 -0.001 0.006 0.390
H 2.311231 -6.150655 -1.595004 -0.030 0.036 0.035 0.297
H 3.689675 -5.512096 -2.488726 0.019 0.060 -0.022 0.320
H 3.769238 -6.438048 0.438810 -0.099 0.081 0.139 0.348
H 5.147755 -5.849866 -0.446305 0.093 0.075 -0.017 0.394
H 4.073670 -3.619067 -0.705251 0.003 0.073 -0.082 0.237
H 4.456483 -4.756950 2.080614 -0.090 -0.077 -0.058 0.389
Reply >
ORCA calculation (the ωB97M-V functional and the def2-TZVPD basis) on a 13-piece molecular cluster, C5H38N3O12 overall.
ΔE to the lowest compared entry with this formula, charge and spin	20.2	kcal per mole